• Activity:
Give back the calculation results below character by character.

• Source:
[1]
C9H10CoF6N7O5S2 | ωB97M-V/def2-TZVPD

Summary:
E (hartree): -3886.10175
M (g mol⁻¹): 533.28
Energy relative to the best compared isomer or geometry (same formula, charge and spin) (eV): 0.1507
Orbital gap (alpha / beta) (eV): 7.525 / 7.526

ORCA input file:
```
! RIJCOSX wB97M-V def2-TZVPD def2/J DEFGRID3
* xyz 2 1
Co -0.33 -0.06 0.19
F -0.45 2.19 3.69
C 2.53 -1.74 -2.13
N 1.30 -0.31 -0.71
S -0.24 -1.66 2.85
F -2.26 -3.27 3.26
H 0.19 -3.10 -0.90
F -1.75 -3.03 1.17
H 4.59 -1.20 -2.43
O 0.36 -1.18 1.55
N -0.89 1.35 -0.96
H -1.75 -1.83 -0.80
C 3.58 0.16 -1.11
H 0.69 4.17 -2.84
C 1.37 -1.40 -1.49
S -2.05 0.41 2.55
O -2.00 0.08 1.08
C -2.11 1.77 -1.29
H -0.92 4.75 -3.06
N -2.05 2.92 -1.94
N -1.26 -0.61 3.41
H 2.57 -2.62 -2.76
C 2.38 0.46 -0.51
H 4.44 0.80 -0.94
N -0.75 3.15 -1.96
C -0.96 1.90 2.53
C 3.66 -0.95 -1.94
F 0.09 1.57 1.67
O 0.73 -2.07 3.78
H -3.04 1.26 -1.07
N -0.01 2.25 -1.40
F -0.48 -4.22 2.46
C 0.11 -2.21 -1.53
H 2.25 1.32 0.14
H -0.17 -2.50 -2.55
F -1.59 2.92 2.00
C -1.26 -3.17 2.42
N -0.24 4.30 -2.46
O -0.94 -1.34 -1.01
O -3.33 0.75 3.03
*
```

[2]
C22H9F4N4O8Ru | ωB97M-V/def2-TZVPD

Summary:
E (hartree): -2159.07464
M (g mol⁻¹): 634.40
Energy relative to the best compared isomer or geometry (same formula, charge and spin) (eV): 0.2642
Orbital gap (alpha / beta) (eV): 5.551 / 4.221

ORCA input file:
```
! RIJCOSX wB97M-V def2-TZVPD def2/J DEFGRID3
* xyz -2 2
N 0.68 0.95 -0.18
N -4.69 1.74 -7.94
O 1.85 -1.76 1.32
O -0.31 1.34 2.45
N -5.28 -1.75 -5.64
C -3.81 0.34 -5.97
C -2.16 -0.16 -4.15
C -1.54 -1.28 4.13
C -0.65 -1.00 0.76
C -0.93 2.24 -4.44
C -1.09 0.18 -3.36
O 0.76 -0.77 3.47
H -1.38 -0.57 0.07
C -0.42 1.40 -3.46
C 0.72 1.30 -1.30
F -2.70 -1.38 -3.96
H 0.35 -1.04 6.11
C -0.39 -0.30 4.23
C 3.09 -1.54 1.72
C 0.06 -0.09 5.67
C 0.71 1.76 -2.58
C -4.26 1.14 -7.05
H -2.39 -0.89 4.67
H 0.90 0.60 5.70
F -0.38 3.46 -4.61
Ru 0.77 -0.07 1.44
C 5.32 -1.72 2.44
H -0.73 -2.08 0.86
C -0.81 1.05 3.60
C -1.99 1.90 -5.25
O -1.61 1.74 4.21
H -1.25 -2.24 4.57
C 1.78 2.59 -3.01
F -0.66 -0.74 -2.47
F -2.39 2.82 -6.14
H -1.83 -1.44 3.09
H -0.76 0.35 6.24
O 6.39 -2.16 2.77
O 5.64 0.69 2.70
H 0.76 -1.73 3.37
C -4.59 -0.83 -5.77
C -2.69 0.68 -5.15
C 4.93 -0.24 2.40
N 2.64 3.26 -3.36
O 2.74 0.76 1.80
C 4.10 -2.53 2.03
O 4.02 -3.75 2.01
C 3.52 -0.23 1.96
*
```

* * * * *

Entry 1:
The following is a quantum chemistry calculation of a molecular structure, C30H20ClN5O5RhS2, from the OMol25 dataset.

Results
Highest occupied orbital energy (spin up / spin down) in eV: -5.4 / -5.7
Kohn-Sham gap (spin up / spin down) in eV: 7.1 / 5.6
Multiplicity: 5
DFT total energy in a.u.: -3172.4049
<S²>: 6.043
Net charge: -1

```
64
Properties=species:S:1:pos:R:3:forces:R:3:mulliken_spin:R:1
Rh 1.0677 -1.0791 -0.0225 0.149 -0.514 -0.156 2.4105
Cl -0.8743 4.7505 -4.7330 -0.010 -0.030 0.017 0.0000
S -0.3631 -2.9105 0.8283 -0.095 0.054 0.122 0.5008
S -0.2361 0.3530 1.4010 -0.020 0.250 0.053 0.6546
O -0.7818 -0.7443 -1.3245 0.156 0.210 0.036 0.0293
O 5.4543 0.6921 3.1386 -0.036 0.033 0.228 0.0003
O 2.2418 -1.7013 1.9354 -0.058 -0.049 -0.024 0.0549
O -1.2559 -2.5873 -2.5236 0.065 0.019 -0.137 0.0083
O -3.2180 0.2963 -1.7128 -0.058 0.048 -0.079 -0.0031
N -6.1001 0.7595 2.9096 -0.063 0.050 0.046 -0.0038
N 2.0246 -0.6553 -2.1819 -0.066 0.197 -0.041 0.0311
N 3.1348 -0.1318 0.1670 -0.126 0.292 0.094 0.0735
N 3.6801 0.0123 1.3935 -0.161 -0.121 -0.283 -0.0009
N -6.2958 -3.2587 2.1376 -0.065 -0.052 0.023 0.0174
C -1.6441 -0.5712 1.5768 -0.040 -0.033 -0.018 0.0401
C -1.3500 2.1136 -4.3064 -0.001 -0.026 -0.005 0.0004
C -1.6995 -1.9810 1.3067 -0.073 0.018 0.032 0.0606
C 5.2172 -0.1181 5.3289 -0.042 -0.063 0.013 0.0010
C 4.5493 -0.8794 6.2689 0.034 0.029 0.006 -0.0001
C -5.1738 0.1623 2.5845 0.143 -0.133 -0.097 0.0056
C -1.9014 1.0498 -3.6054 -0.043 0.056 0.001 -0.0003
C 1.8942 -0.3960 -4.5443 -0.053 -0.054 0.029 0.0017
C 2.9876 -1.5903 4.6052 0.064 -0.066 0.048 -0.0047
C 3.1230 -0.8739 2.2427 0.110 0.001 0.123 0.0203
C 3.6305 0.4832 -0.8356 -0.021 -0.058 -0.041 0.0349

• Done:
[1]
C9H10CoF6N7O5S2 | ωB97M-V/def2-TZVPD

Summary:
E (hartree): -3886.10175
M (g mol⁻¹): 533.28
Energy relative to the best compared isomer or geometry (same formula, charge and spin) (eV): 0.1507
Orbital gap (alpha / beta) (eV): 7.525 / 7.526

ORCA input file:
```
! RIJCOSX wB97M-V def2-TZVPD def2/J DEFGRID3
* xyz 2 1
Co -0.33 -0.06 0.19
F -0.45 2.19 3.69
C 2.53 -1.74 -2.13
N 1.30 -0.31 -0.71
S -0.24 -1.66 2.85
F -2.26 -3.27 3.26
H 0.19 -3.10 -0.90
F -1.75 -3.03 1.17
H 4.59 -1.20 -2.43
O 0.36 -1.18 1.55
N -0.89 1.35 -0.96
H -1.75 -1.83 -0.80
C 3.58 0.16 -1.11
H 0.69 4.17 -2.84
C 1.37 -1.40 -1.49
S -2.05 0.41 2.55
O -2.00 0.08 1.08
C -2.11 1.77 -1.29
H -0.92 4.75 -3.06
N -2.05 2.92 -1.94
N -1.26 -0.61 3.41
H 2.57 -2.62 -2.76
C 2.38 0.46 -0.51
H 4.44 0.80 -0.94
N -0.75 3.15 -1.96
C -0.96 1.90 2.53
C 3.66 -0.95 -1.94
F 0.09 1.57 1.67
O 0.73 -2.07 3.78
H -3.04 1.26 -1.07
N -0.01 2.25 -1.40
F -0.48 -4.22 2.46
C 0.11 -2.21 -1.53
H 2.25 1.32 0.14
H -0.17 -2.50 -2.55
F -1.59 2.92 2.00
C -1.26 -3.17 2.42
N -0.24 4.30 -2.46
O -0.94 -1.34 -1.01
O -3.33 0.75 3.03
*
```

[2]
C22H9F4N4O8Ru | ωB97M-V/def2-TZVPD

Summary:
E (hartree): -2159.07464
M (g mol⁻¹): 634.40
Energy relative to the best compared isomer or geometry (same formula, charge and spin) (eV): 0.2642
Orbital gap (alpha / beta) (eV): 5.551 / 4.221

ORCA input file:
```
! RIJCOSX wB97M-V def2-TZVPD def2/J DEFGRID3
* xyz -2 2
N 0.68 0.95 -0.18
N -4.69 1.74 -7.94
O 1.85 -1.76 1.32
O -0.31 1.34 2.45
N -5.28 -1.75 -5.64
C -3.81 0.34 -5.97
C -2.16 -0.16 -4.15
C -1.54 -1.28 4.13
C -0.65 -1.00 0.76
C -0.93 2.24 -4.44
C -1.09 0.18 -3.36
O 0.76 -0.77 3.47
H -1.38 -0.57 0.07
C -0.42 1.40 -3.46
C 0.72 1.30 -1.30
F -2.70 -1.38 -3.96
H 0.35 -1.04 6.11
C -0.39 -0.30 4.23
C 3.09 -1.54 1.72
C 0.06 -0.09 5.67
C 0.71 1.76 -2.58
C -4.26 1.14 -7.05
H -2.39 -0.89 4.67
H 0.90 0.60 5.70
F -0.38 3.46 -4.61
Ru 0.77 -0.07 1.44
C 5.32 -1.72 2.44
H -0.73 -2.08 0.86
C -0.81 1.05 3.60
C -1.99 1.90 -5.25
O -1.61 1.74 4.21
H -1.25 -2.24 4.57
C 1.78 2.59 -3.01
F -0.66 -0.74 -2.47
F -2.39 2.82 -6.14
H -1.83 -1.44 3.09
H -0.76 0.35 6.24
O 6.39 -2.16 2.77
O 5.64 0.69 2.70
H 0.76 -1.73 3.37
C -4.59 -0.83 -5.77
C -2.69 0.68 -5.15
C 4.93 -0.24 2.40
N 2.64 3.26 -3.36
O 2.74 0.76 1.80
C 4.10 -2.53 2.03
O 4.02 -3.75 2.01
C 3.52 -0.23 1.96
*
```

* * * * *

Entry 1:
The following is a quantum chemistry calculation of a molecular structure, C30H20ClN5O5RhS2, from the OMol25 dataset.

Results
Highest occupied orbital energy (spin up / spin down) in eV: -5.4 / -5.7
Kohn-Sham gap (spin up / spin down) in eV: 7.1 / 5.6
Multiplicity: 5
DFT total energy in a.u.: -3172.4049
<S²>: 6.043
Net charge: -1

```
64
Properties=species:S:1:pos:R:3:forces:R:3:mulliken_spin:R:1
Rh 1.0677 -1.0791 -0.0225 0.149 -0.514 -0.156 2.4105
Cl -0.8743 4.7505 -4.7330 -0.010 -0.030 0.017 0.0000
S -0.3631 -2.9105 0.8283 -0.095 0.054 0.122 0.5008
S -0.2361 0.3530 1.4010 -0.020 0.250 0.053 0.6546
O -0.7818 -0.7443 -1.3245 0.156 0.210 0.036 0.0293
O 5.4543 0.6921 3.1386 -0.036 0.033 0.228 0.0003
O 2.2418 -1.7013 1.9354 -0.058 -0.049 -0.024 0.0549
O -1.2559 -2.5873 -2.5236 0.065 0.019 -0.137 0.0083
O -3.2180 0.2963 -1.7128 -0.058 0.048 -0.079 -0.0031
N -6.1001 0.7595 2.9096 -0.063 0.050 0.046 -0.0038
N 2.0246 -0.6553 -2.1819 -0.066 0.197 -0.041 0.0311
N 3.1348 -0.1318 0.1670 -0.126 0.292 0.094 0.0735
N 3.6801 0.0123 1.3935 -0.161 -0.121 -0.283 -0.0009
N -6.2958 -3.2587 2.1376 -0.065 -0.052 0.023 0.0174
C -1.6441 -0.5712 1.5768 -0.040 -0.033 -0.018 0.0401
C -1.3500 2.1136 -4.3064 -0.001 -0.026 -0.005 0.0004
C -1.6995 -1.9810 1.3067 -0.073 0.018 0.032 0.0606
C 5.2172 -0.1181 5.3289 -0.042 -0.063 0.013 0.0010
C 4.5493 -0.8794 6.2689 0.034 0.029 0.006 -0.0001
C -5.1738 0.1623 2.5845 0.143 -0.133 -0.097 0.0056
C -1.9014 1.0498 -3.6054 -0.043 0.056 0.001 -0.0003
C 1.8942 -0.3960 -4.5443 -0.053 -0.054 0.029 0.0017
C 2.9876 -1.5903 4.6052 0.064 -0.066 0.048 -0.0047
C 3.1230 -0.8739 2.2427 0.110 0.001 0.123 0.0203
C 3.6305 0.4832 -0.8356 -0.021 -0.058 -0.041 0.0349